I've been having migraines with auras but usually only slighty painful headache, but today's was different.
## Unrelated to this article: quantum chemistry results
- - -
Density functional theory data (the ωB97M-V functional and the def2-TZVPD basis) for 4 unconnected molecules or ions with the total composition C46H33O9PS2.

Summary:
SMILES   O=S1(=O)CC[C@@H]([PH2]=S)CO1.O=C1c2ccccc2C(=O)c2ccccc21.O=C1c2ccccc2C(=O)c2ccccc21.O=C1c2ccccc2C(=O)c2ccccc21
Orbital gap   8.30 eV
Spin multiplicity   1
Net charge   0
HOMO energy   -0.3469 hartree

Each line ends with the Löwdin charge.
Geometry (Å):
C (-3.721, -1.233, 0.528)  -0.08
C (-2.237, 6.887, 5.016)  -0.08
C (4.512, -3.932, -6.649)  -0.08
H (-7.058, -2.260, 3.964)  0.12
H (2.615, -3.689, -0.071)  0.10
H (5.174, -1.411, 1.140)  0.13
S (2.760, -5.291, 2.562)  0.14
C (0.621, 4.778, 2.596)  0.00
C (2.472, -1.651, -0.797)  -0.18
H (5.241, -0.843, -3.998)  0.12
H (1.839, -5.050, -8.397)  0.12
H (1.672, 4.944, 2.791)  0.12
C (-1.153, 3.710, 1.375)  -0.07
H (0.935, 3.375, 1.006)  0.11
C (-6.947, -3.257, 0.233)  0.00
C (-4.781, -2.086, -0.083)  -0.28
H (-3.492, 8.895, 7.431)  0.11
C (2.852, -5.019, -8.019)  0.00
H (-8.810, -4.247, 0.590)  0.11
H (4.391, -0.798, 2.609)  0.13
C (-1.403, 8.541, 7.085)  -0.06
O (1.340, 6.555, 4.634)  0.11
C (-4.897, -1.304, 2.750)  -0.28
O (-4.720, -2.431, -1.244)  0.10
H (-6.892, -3.524, -0.813)  0.12
C (1.659, -0.951, -5.439)  0.00
C (3.151, -2.748, 0.038)  -0.21
O (3.751, 0.019, 0.847)  -0.21
C (-8.011, -3.658, 1.022)  -0.06
C (3.784, -5.977, -8.379)  -0.06
H (0.596, 8.003, 6.491)  0.12
C (-2.660, -0.809, -0.265)  0.00
H (1.275, 0.770, -4.223)  0.11
O (-4.931, -1.008, 3.925)  0.11
H (6.448, -4.827, -6.622)  0.12
C (-8.057, -3.305, 2.367)  -0.06
C (-3.784, -0.848, 1.868)  -0.08
C (3.890, -1.856, -5.302)  -0.08
C (-5.923, -2.496, 0.785)  -0.08
C (-1.674, -0.002, 0.274)  -0.07
C (3.294, 0.079, -4.006)  -0.07
H (-2.628, -1.121, -1.301)  0.12
H (-8.888, -3.623, 2.982)  0.11
C (4.234, -0.862, -4.393)  -0.01
C (0.205, 3.908, 1.603)  -0.05
H (-1.080, 9.181, 7.895)  0.11
H (-4.226, 7.411, 5.579)  0.12
H (1.415, -1.850, -0.977)  0.12
C (0.158, 6.374, 4.439)  -0.28
C (2.191, -2.967, -6.788)  -0.28
C (-3.176, 7.553, 5.794)  0.00
C (3.273, -2.333, 1.510)  -0.52
C (-2.791, -0.035, 2.404)  0.01
C (-1.741, 0.386, 1.608)  -0.07
C (5.445, -4.893, -7.019)  0.00
O (-3.895, 5.849, 3.697)  0.11
C (-2.094, 4.386, 2.133)  0.01
H (4.146, -3.130, 3.751)  -0.01
H (-0.848, 0.330, -0.340)  0.10
C (5.081, -5.912, -7.882)  -0.06
S (2.415, -0.064, 0.008)  0.60
H (-0.960, 1.009, 2.021)  0.10
H (5.808, -6.660, -8.170)  0.11
C (-0.876, 7.058, 5.270)  -0.08
C (-0.463, 7.885, 6.308)  0.00
H (2.983, -1.487, -1.744)  0.09
O (6.055, -2.794, -5.271)  0.10
C (2.597, -1.902, -5.825)  -0.08
C (-0.318, 5.456, 3.364)  -0.08
P (3.896, -3.728, 2.505)  0.34
C (4.217, -1.142, 1.590)  -0.20
H (4.162, -2.898, -0.349)  0.12
H (-2.858, 0.256, 3.443)  0.12
H (5.189, -3.920, 1.986)  0.00
C (2.006, 0.034, -4.530)  -0.05
O (1.312, -0.079, 0.921)  -0.27
O (1.072, -3.001, -7.252)  0.11
H (2.294, -2.106, 1.941)  0.12
O (2.506, 0.956, -0.983)  -0.26
H (-1.475, 3.027, 0.601)  0.10
- - -
The first time it happened I almost went to the ER. I thought I was having a stroke or aneurysm. I was in the middle of cooking dinner and all of the sudden my vision started getting wonky. I couldn't focus well, then it was kinda like tunnel vision. Like I was going to pass out but not exactly. It wasnt dark it was like missing information. Just nothing. I remember my husband had me sit down at the table and I leaned onto the table with my forehead in my hands. Trying to remain calm but anxiety ramping up and the fight or flight response setting in. When I would open my eyes the lights would do weird things. Instead of the light being constant, it was like the ceiling fan blades were moving in front of the light. (which the ceiling fan blades are behind the light fixture, plus our fan blades were not actually moving at the time.) It lasted about 25 minutes before my vision seemed normal again. Later I had a slight headache. I went to see my eye doc the next day and she did all the exams and looked at my retinas etc. She confirmed ocular migraine or migraines with auras.
== The page is interrupted by data records ==
+++
Entry 1:
16
Properties=species:S:1:pos:R:3:forces:R:3 method="wB97M-V/def2-TZVPD" total_charge=0 e_above_lowest_kcal_mol=84.7 homo_energy_ha=-0.315
C -0.312 1.389 -1.354 0.0 0.0 0.0
C -0.071 0.196 -0.466 0.0 0.1 -0.1
C -0.874 -1.065 -0.485 0.1 -0.2 -0.1
C -0.867 -0.209 0.748 -0.1 0.1 0.1
C 0.443 -0.296 1.588 0.0 0.2 0.3
N 1.489 -1.134 1.112 0.3 0.2 0.2
C 1.249 0.065 0.377 0.3 0.3 -0.1
H -0.016 2.322 -0.853 0.0 -0.2 -0.1
H -1.377 1.480 -1.605 0.2 -0.1 0.1
H 0.247 1.325 -2.297 -0.1 0.0 0.2
H -1.792 -1.012 -1.070 0.2 0.0 0.1
H -0.401 -2.045 -0.493 0.0 0.1 0.0
H -1.759 0.285 1.127 0.2 -0.2 -0.1
H 0.514 0.046 2.613 -0.1 0.2 -0.1
H 1.429 -2.078 0.803 -0.7 -0.5 -0.6
H 2.096 0.729 0.254 -0.2 0.2 0.0



Entry 2:
16
Properties=species:S:1:pos:R:3:forces:R:3 method="wB97M-V/def2-TZVPD" total_charge=0 e_above_lowest_kcal_mol=64.8 homo_energy_ha=-0.345
C -2.712 -0.058 2.138 -0.1 0.0 0.1
C -1.782 -0.177 1.013 0.3 0.0 -0.4
C -1.020 -0.286 0.085 -0.3 0.0 0.4
C -0.100 -0.412 -1.052 0.0 0.0 -0.1
C 1.126 0.473 -0.931 -0.2 0.1 0.1
C 2.427 -0.069 -0.486 0.1 -0.1 0.3
N 2.175 0.195 -1.903 0.1 0.1 -0.2
H -2.172 0.045 3.085 -0.1 0.0 -0.2
H -3.351 -0.944 2.211 0.1 0.1 0.0
H -3.361 0.817 2.023 0.1 -0.1 0.0
H -0.626 -0.163 -1.982 0.0 0.0 0.1
H 0.233 -1.451 -1.154 -0.1 0.1 0.0
H 0.918 1.515 -0.686 0.0 -0.2 -0.1
H 2.505 -1.123 -0.226 0.0 0.2 0.0
H 3.105 0.585 0.059 -0.1 -0.1 -0.1
H 2.635 1.052 -2.197 0.0 -0.1 0.0



Kohn-Sham gap (eV)
9.7 10.4

=====

67
Properties=species:S:1:pos:R:3 method="wB97M-V/def2-TZVPD" max_force_ev_per_a=2.61 e_lumo_ev=-0.66 charge=0 energy_ev=-59351.94523 e_homo_ev=-9.06 multiplicity=1 orbital_gap_ev=8.40
S 6.92 -22.57 -2.60
Na 10.26 -22.10 -1.23
Na 5.39 -20.43 -5.07
O 7.07 -21.69 -3.74
O 4.23 -22.72 -4.86
O 8.20 -21.15 0.38
O 7.18 -18.34 -4.94
O 4.16 -25.08 -2.01
O 8.26 -22.53 -5.99
O 6.34 -21.86 -1.47
O 5.05 -21.31 0.96
O 10.02 -21.07 -3.52
O 8.28 -23.01 -2.28
O 8.79 -25.20 -1.00
O 6.70 -25.42 -4.90
O 4.46 -20.21 -2.44
O 6.08 -23.69 -2.99
C 5.81 -22.03 1.93
C 3.26 -23.75 -5.13
C 8.36 -19.79 0.45
C 7.28 -22.98 -6.93
C 10.54 -20.73 -4.81
C 4.33 -26.35 -2.60
C 3.24 -20.89 -2.17
C 7.79 -26.16 -4.58
C 7.51 -25.68 -0.58
C 7.54 -18.59 -3.62
H 8.74 -25.68 -4.40
H 7.05 -22.13 -7.57
H 6.70 -24.67 -4.30
H 6.40 -23.33 -6.38
H 9.08 -21.24 -3.49
H 6.85 -19.30 -3.16
H 3.78 -24.68 -5.38
H 5.18 -22.29 2.78
H 8.61 -24.40 -1.51
H 4.91 -24.56 -2.30
H 3.06 -20.68 -1.11
H 11.53 -20.35 -4.57
H 7.39 -19.30 0.35
H 8.02 -26.79 -5.44
H 3.52 -26.99 -2.25
H 6.58 -21.42 2.42
H 2.31 -20.57 -2.63
H 8.77 -19.41 1.39
H 5.10 -20.80 -2.05
H 7.55 -26.83 -3.75
H 2.50 -23.53 -5.88
H 7.90 -22.47 -5.10
H 10.72 -21.64 -5.38
H 5.45 -21.58 0.13
H 4.77 -23.06 -4.15
H 5.31 -26.81 -2.45
+++
I have had a couple more since that first time. Both similar. Main thing that was different was the lights were more shaky, shimmering.
(Attached: molecular data)
<<<
Record 1
# C42H36Cl5N7O3PSSe2Sn

A structure of composition C42H36Cl5N7O3PSSe2Sn in a non-equilibrium geometry (wB97M-V/def2-TZVPD, the Open Molecules 2025 dataset).

energy above the lowest of the compared OMol25 structures with the same formula, charge and spin = 0.0000 eV
calculated total energy = -10288.2999 Eh
LUMO level = -0.094 Ha
highest occupied orbital energy = -10.0 eV

Geometry as ORCA input:
```
! RIJCOSX wB97M-V def2-TZVPD def2/J DEFGRID3
* xyz 1 1
Sn -0.2274 -0.5644 0.6482
Cl 1.2815 -0.2522 3.8007
C -0.0480 0.8763 3.7550
C -0.4209 1.4418 2.4209
C -1.1927 2.6549 2.5384
Cl -1.4627 3.5797 1.0981
C -1.7327 3.0823 3.7075
Cl -2.8571 4.3737 3.7537
C -1.2687 2.5495 4.9765
Cl -1.8159 3.2722 6.4259
C -0.3492 1.5645 5.0051
Cl 0.3781 1.0353 6.4614
Se 0.4482 -4.5675 -0.2423
Se 1.1347 -3.2968 -2.0792
C -0.6209 -2.6968 -2.6074
C -1.1251 -3.1955 -3.8036
C -2.3900 -2.8070 -4.2059
C -3.1025 -1.9382 -3.3970
C -2.5081 -1.4883 -2.2310
N -1.2884 -1.8513 -1.8349
C 2.0544 -4.2501 0.7845
C 2.9102 -5.3298 0.9692
C 4.0931 -5.1242 1.6563
C 4.3645 -3.8560 2.1351
C 3.4386 -2.8504 1.9056
N 2.2993 -3.0305 1.2398
H -0.5274 -3.8776 -4.3904
H -2.8140 -3.1785 -5.1286
H -4.1002 -1.6172 -3.6602
H -3.0273 -0.7994 -1.5755
H 2.6465 -6.3021 0.5777
H 4.7917 -5.9371 1.8018
H 5.2772 -3.6436 2.6727
H 3.6171 -1.8502 2.2710
O -3.1891 -0.0860 1.5637
N -2.4408 0.5222 0.5335
C -3.1698 1.3601 -0.1004
C -2.8836 2.1821 -1.2902
C -4.0204 2.8275 -1.7916
C -3.9638 3.6817 -2.8791
C -2.7415 3.9235 -3.4843
C -1.6083 3.2902 -3.0005
C -1.6544 2.4150 -1.9206
P -0.1151 1.6123 -1.3524
C 0.4633 0.7374 -2.8674
C 1.7350 0.1681 -2.8097
C 2.2658 -0.5047 -3.8973
C 1.5244 -0.6338 -5.0640
C 0.2498 -0.0941 -5.1241
C -0.2805 0.5822 -4.0335
C 1.1347 2.9540 -1.2829
C 1.5052 3.4429 -0.0326
C 2.3895 4.5057 0.0786
C 2.9271 5.0832 -1.0632
C 2.6155 4.5594 -2.3113
C 1.7401 3.4904 -2.4191
H -2.6695 -0.0504 2.3947
H -4.1818 1.4795 0.2830
H -4.9700 2.6634 -1.3004
H -4.8631 4.1624 -3.2372
H -2.6643 4.6037 -4.3216
H -0.6616 3.4863 -3.4854
H 2.3205 0.2744 -1.9083
H 3.2576 -0.9331 -3.8350
H 1.9377 -1.1533 -5.9171
H -0.3407 -0.1978 -6.0241
H -1.2729 1.0037 -4.1095
H 1.0983 2.9850 0.8606
H 2.6640 4.8791 1.0563
H 3.6102 5.9175 -0.9817
H 3.0566 4.9829 -3.2035
H 1.5546 3.0621 -3.3961
C -1.8484 -2.6920 5.9328
C -1.0729 -3.4041 4.8219
C -1.6953 -3.2361 3.4740
N -1.1760 -2.5782 2.5006
N -1.9452 -2.5306 1.3682
C -3.0696 -3.1667 1.5103
N -3.9810 -3.3156 0.5182
S -3.2646 -3.8812 3.0744
H -1.3230 -2.7987 6.8806
H -2.8450 -3.1195 6.0498
H -1.9574 -1.6358 5.7061
H -0.9966 -4.4681 5.0554
H -0.0628 -3.0002 4.7436
H -3.9098 -2.6683 -0.2496
H -4.9034 -3.6402 0.7512
C 5.0496 1.7315 -1.1495
C 4.8258 1.2387 0.2826
C 3.4528 0.7907 0.4819
N 2.3741 0.4268 0.6093
H 6.0821 2.0537 -1.2640
H 4.3915 2.5716 -1.3774
H 4.8533 0.9370 -1.8676
H 5.0368 2.0259 1.0075
H 5.4836 0.3960 0.5078
O -1.2333 0.2200 3.1459
O -2.4802 0.4326 3.7109
*
```

***

Record 2
# C3H6O2
>>>
(Back to the text)
Today's was quite different. I am a night shift worker and got off yesterday and went to bed about 9 am then slept until 4 pm. So last night even though I was off, I couldn't get sleepy. I ended up watching TV and even playing video games until 430 am or so. I finally went to bed and was about to fall asleep when the first thing I noticed was this weird flash of light. It was like my phone had turned on for a few seconds then turned off. But it wasn't exactly where my phone was. I remember saying to myself, that was weird. I closed my eyes and had started to fall asleep. But then I opened my eyes and the shadow on my ceiling was going crazy. Super shaky zigzaggy lines in a circular type pattern. The best way I can describe it is the black smoke on Voldemort in the movies, but a big cloud of it. It was like two cartoon characters having a tussle and the dust cloud is all you see, but it's made up of black smokey lines. Then I noticed it everywhere. Around my arms, anywhere I looked. I got up and went to the bathroom and took out my contacts. I recognized it for what it was so I tried to stay calm. However, it is quite unsettling, even after having experienced it several times before. I got back in bed and just went to sleep. I did notice I had tinnitus as I fell asleep.
I got up about 930 am, went to several appointments, stopped and got my husband a coffee and took it to him at work, went grocery shopping and came home. No headache and hadn't even thought about what I experienced earlier that morning. Right after dinner tho, I had a raging migraine hit. So like 14 hours after the aura. It had me almost scared of an aneurysm again because of how intense the pain was on just my right side. So I took ibuprofen and went to bed. Put an ice pack in my groin (my sister is a nurse and she said to try that) and the pain has since diminished some. Not gone but much more tolerable.
I guess I am wondering if that is normal for those of you who get auras. For the pain to come so much later than the aura?